Saturday, July 23, 2011

What comes next are calculated crystals, not part of the text:
........
[1]
# SnAs2O7

A geometry-optimized SnAs2O7 structure (PBE, Materials Project).

Results
DFT total energy, eV per atom: -5.9474

a b c (Å): 7.2787 9.3214 9.7474
angles (deg): 90.00 106.35 90.00
Closest atoms and distances in Å follow each position.
Fractional coordinates of all 40 atoms:
1 Sn 0.1889 0.0707 0.2870  5 O 2.02-2.06
2 Sn 0.1889 0.4293 0.7870  5 O 2.02-2.06
3 Sn 0.8111 0.5707 0.2130  5 O 2.02-2.06
4 Sn 0.8111 0.9293 0.7130  5 O 2.02-2.06
5 As 0.0362 0.7071 0.9671  4 O 1.72-1.74
6 As 0.0362 0.7929 0.4671  4 O 1.72-1.74
7 As 0.4137 0.7498 0.2537  3 O 1.64-1.75
8 As 0.4137 0.7502 0.7537  3 O 1.64-1.75
9 As 0.5863 0.2498 0.2463  3 O 1.64-1.75
10 As 0.5863 0.2502 0.7463  3 O 1.64-1.75
11 As 0.9638 0.2071 0.5329  4 O 1.72-1.74
12 As 0.9638 0.2929 0.0329  4 O 1.72-1.74
13 O 0.0038 0.6207 0.4018  1 As 1.72
14 O 0.0038 0.8793 0.9018  1 As 1.72
15 O 0.0189 0.5926 0.8261  1 As 1.72
16 O 0.0189 0.9074 0.3261  1 As 1.72
17 O 0.1483 0.1818 0.4570  1 As 1.72
18 O 0.1483 0.3182 0.9570  1 As 1.72
19 O 0.2504 0.6653 0.0942  2 As 1.74-1.85
20 O 0.2504 0.8347 0.5942  2 As 1.74-1.85
21 O 0.3710 0.2359 0.2869  1 As 1.73
22 O 0.3710 0.2641 0.7869  1 As 1.73
23 O 0.3721 0.5658 0.7330  1 As 1.75
24 O 0.3721 0.9342 0.2330  1 As 1.75
25 O 0.3811 0.6728 0.3963  1 As 1.64
26 O 0.3811 0.8272 0.8963  1 As 1.64
27 O 0.6189 0.1728 0.1037  1 As 1.64
28 O 0.6189 0.3272 0.6037  1 As 1.64
29 O 0.6279 0.0658 0.7670  1 As 1.75
30 O 0.6279 0.4342 0.2670  1 As 1.75
31 O 0.6290 0.7359 0.2131  1 As 1.73
32 O 0.6290 0.7641 0.7131  1 As 1.73
33 O 0.7496 0.1653 0.4058  2 As 1.74-1.85
34 O 0.7496 0.3347 0.9058  2 As 1.74-1.85
35 O 0.8517 0.6818 0.0430  1 As 1.72
36 O 0.8517 0.8182 0.5430  1 As 1.72
37 O 0.9811 0.0926 0.6739  1 As 1.72
38 O 0.9811 0.4074 0.1739  1 As 1.72
39 O 0.9962 0.1207 0.0982  1 As 1.72
40 O 0.9962 0.3793 0.5982  1 As 1.72


[2]
# SnAsO4

A geometry-optimized SnAsO4 structure (PBE, Materials Project).

Results
DFT total energy, eV per atom: -5.8927

a b c (Å): 4.6082 15.6064 5.2246
angles (deg): 90.00 92.66 90.00
Closest atoms and distances in Å follow each position.
Fractional coordinates of all 24 atoms:
1 Sn 0.0740 0.1684 0.4211  6 O 2.24-2.31
2 Sn 0.0740 0.3316 0.9211  6 O 2.24-2.31
3 Sn 0.9260 0.6684 0.0789  6 O 2.24-2.31
4 Sn 0.9260 0.8316 0.5789  6 O 2.24-2.31
5 As 0.4252 0.6486 0.5798  4 O 1.72-1.78
6 As 0.4252 0.8514 0.0798  4 O 1.72-1.78
7 As 0.5748 0.1486 0.9202  4 O 1.72-1.78
8 As 0.5748 0.3514 0.4202  4 O 1.72-1.78
9 O 0.1740 0.7136 0.7411  1 As 1.78
10 O 0.1740 0.7864 0.2411  1 As 1.78
11 O 0.2320 0.5950 0.3410  1 As 1.72
12 O 0.2320 0.9050 0.8410  1 As 1.72
13 O 0.3150 0.2115 0.0780  1 As 1.78
14 O 0.3150 0.2885 0.5780  1 As 1.78
15 O 0.3869 0.0944 0.6773  1 As 1.72
16 O 0.3869 0.4056 0.1773  1 As 1.72
17 O 0.6131 0.5944 0.8227  1 As 1.72
18 O 0.6131 0.9056 0.3227  1 As 1.72
19 O 0.6850 0.7115 0.4220  1 As 1.78
20 O 0.6850 0.7885 0.9220  1 As 1.78
21 O 0.7680 0.0950 0.1590  1 As 1.72
22 O 0.7680 0.4050 0.6590  1 As 1.72
........

Holy Cow!

_Here the text breaks off for materials data_
=====
[1]
Material: TlNiCl3
Method: DFT, meta-GGA r2SCAN
State: optimized geometry

Computed properties:
Crystal system: hexagonal
Formation enthalpy at 0 K: -5.243 eV/f.u.
E: -17.772 eV per atom

Cell lengths 6.8608, 6.8608, 5.8613 Å; angles 90.00, 90.00, 120.00 degrees
Space group P6_3/mmc (No. 194)
Asymmetric unit:
Tl (0.3333, 0.6667, 0.2500)
Ni (0.0000, 0.0000, 0.0000)
Cl (0.1596, 0.3191, 0.7500)

---

[2]
Material: Zr6NiCl15
Method: DFT, meta-GGA r2SCAN
State: optimized geometry

Computed properties:
Crystal system: cubic
Formation enthalpy at 0 K: -41.414 eV/f.u.
E: -12.826 eV per atom

Cell lengths 10.265, 10.265, 10.265 Å; angles 90.00, 90.00, 90.00 degrees
Space group Im-3m (No. 229)
Asymmetric unit:
Zr (0.000, 0.000, 0.242)
Ni (0.000, 0.000, 0.000)
Cl (0.000, 0.000, 0.500)
Cl (0.000, 0.248, 0.248)

---

[3]
Material: NpCl4
Method: DFT, meta-GGA r2SCAN
State: optimized geometry

Computed properties:
Crystal system: triclinic
Formation enthalpy at 0 K: -10.267 eV/f.u.
E: -23.580 eV per atom

Cell lengths 6.972, 6.988, 7.008 Å; angles 107.16, 114.18, 107.01 degrees
Space group P1 (No. 1)
Asymmetric unit:
Np (0.000, 0.000, 0.000)
Np (0.250, 0.505, 0.753)
Cl (0.315, 0.189, 0.509)
Cl (0.317, 0.814, 0.134)
Cl (0.380, 0.316, 0.074)
Cl (0.490, 0.809, 0.677)
Cl (0.753, 0.693, 0.073)
Cl (0.869, 0.185, 0.680)
Cl (0.929, 0.689, 0.619)
Cl (0.931, 0.312, 0.244)

---

[4]
Material: NpCl4
Method: DFT, meta-GGA r2SCAN
State: optimized geometry

Computed properties:
Crystal system: triclinic
Formation enthalpy at 0 K: -10.274 eV/f.u.
E: -23.582 eV per atom

Cell lengths 6.978, 6.997, 7.003 Å; angles 107.19, 107.06, 114.12 degrees
Space group P1 (No. 1)
Asymmetric unit:
Np (0.000, 0.000, 0.000)
Np (0.255, 0.757, 0.507)
Cl (0.313, 0.136, 0.811)
Cl (0.317, 0.513, 0.190)
Cl (0.382, 0.079, 0.320)
Cl (0.496, 0.678, 0.810)
Cl (0.756, 0.081, 0.699)
Cl (0.874, 0.679, 0.186)
Cl (0.938, 0.246, 0.318)
Cl (0.938, 0.621, 0.693)

---

[5]
Material: NpCl4
Method: DFT, meta-GGA r2SCAN
State: optimized geometry

Computed properties:
Crystal system: monoclinic
Formation enthalpy at 0 K: -10.271 eV/f.u.
E: -23.581 eV per atom

Cell lengths 11.232, 8.303, 7.614 Å; angles 90.00, 132.31, 90.00 degrees
Space group C2/m (No. 12)
Asymmetric unit:
Np (0.248, 0.000, 0.122)
Cl (0.061, 0.500, 0.368)
Cl (0.064, 0.000, 0.257)
Cl (0.245, 0.188, 0.802)

---

[6]
Material: PCl3O
Method: DFT, meta-GGA r2SCAN
State: optimized geometry

Computed properties:
Crystal system: orthorhombic
Formation enthalpy at 0 K: -5.803 eV/f.u.
E: -7.847 eV per atom

Cell lengths 9.213, 5.847, 9.431 Å; angles 90.00, 90.00, 90.00 degrees
Space group Pna2_1 (No. 33)
Asymmetric unit:
P (0.183, 0.129, 0.000)
Cl (0.017, 0.912, 0.000)
Cl (0.148, 0.331, 0.166)
Cl (0.151, 0.328, 0.832)
O (0.175, 0.517, 0.501)

---

[7]
Material: PCl3O
Method: DFT, meta-GGA r2SCAN
State: optimized geometry

Computed properties:
Crystal system: orthorhombic
Formation enthalpy at 0 K: -5.710 eV/f.u.
E: -7.828 eV per atom
=====

The Streets of Delhi
I cannot recommend India to amateurs or anybody with a compromised immune system. It's a very unforgiving place.  One wrong move and you can lose EVERYTHING.  One wrong ice cube and you'll wish you never came.  Home to the most beautiful and promising sights, sounds and smells lies the most horrid and horrendous sights, sounds and smells in the known universe.  It is full sensory overload.  It is the good, the bad & the ugly.  It is India.  It is a nation that dares to be different.  It is a world where scary airplane landings are applauded.  A world where passengers tackle each other in a scrum at the door while the plane's still moving.  It is in this world that I decide to get off last. And, much like the tunnel we experience at the moment of death, our exit ramp goes steeper and steeper, forcing us deeper and faster into India; Delhi to be exact.  Good Lord.

It is the filthiest place you can never imagine; a wild combination of piss & shit with phlegm and flies and earth under massive piles of garbage surrounded by hot, sweaty and dirty crowds.  The honking and begging never ceases.  And 48 degree Celsius temperatures just seem to wreak havoc on all of it.  Or so that is my opinion.  The locals know the rolling cramps as a "No shower, full power, 24-hour" stomach ailment.  The world refers to it as the Delhi Belly. Whatever you choose to name it, it cripples even those with a steel gut, and it comes for free with every visit.

Oh, the romantic symphony of chaotic horns; the deep blasts, the high-pitched beeps, staccato honks, the fog horns and the musical notes, you'd think Delhi is blind and driving by sound.  Here, the pecking order is as follows: Pedestrians yield to bikes, bikes yield to rickshaws, rickshaws to tuk-tuks, tuk-tuks to cars, cars to trucks and buses, and everything yields to the King of the Road,  The Holy Cow.

Ah yes, the Holy Cow- the source of all of their problems.  Patties large and small melt and bake in the heat and sun as flies fester and spread shit to the kitchens and tables of all who will dine while in India.  If Karma is the result of action, then it is their karma to be sick forever.  People toss trash on the ground as if it'll magically grow into fruit trees.

Delhi is a series of 8 cities that have been ruled and ruined by sultans, slave dynasties, horse traders, Mogul Kings, and of course the British Raj.  It is decrepit and worn down by centuries of invasion.  Delhi is victim to plundering, squandering, depletion and desertification.  It has been lain to ruins ten times in its history; the streets last ran with blood in 1947 and 1983.  Major underemployment, the lingering caste system, the legacy of British Imperialism, and a lack of education, resources & infrastructure have led me to make attempts to avoid Delhi like the plague that it is...